(Activity)
It remains to search the entries below for the word "following" and write out each line that has it.

(Entries)
- - -
[1]
The following is a DFT calculation (ωB97M-V/def2-TZVPD) of an isolated molecule of C9H5Cl2N3O2.

Properties
- Maximum force: 2.9 eV Å⁻¹
- DFT total energy: -1581.066343 Eh
- 2S+1: 1

Each line ends with the natural charge from an NBO analysis.
Cartesian coordinates (Å):
C: 0.99053 0.99974 1.84428  -0.167
C: 0.25439 0.83947 0.67445  -0.151
C: 0.94531 0.31509 -0.52860  0.525
C: 0.46119 1.52892 3.04561  -0.055
C: -0.89122 1.84477 3.09495  -0.029
O: -0.93772 -2.35368 -2.11132  -0.294
H: -2.68008 1.94085 2.04455  0.234
N: 0.43963 -2.81612 -4.09788  -0.793
N: 0.85874 -1.18335 -2.57744  -0.526
C: -1.63502 1.68559 1.94476  -0.230
N: -0.75662 -1.45628 -1.04976  -0.128
C: 0.29038 -0.75817 -1.37683  0.213
H: 2.03425 0.76171 1.77792  0.243
H: 1.37454 -2.62732 -4.38392  0.419
H: 0.12434 -3.75469 -4.16622  0.393
C: 0.07830 -2.15942 -2.94248  0.662
C: -1.09742 1.19639 0.73494  -0.146
Cl: -1.61847 2.36673 4.60474  0.028
O: 2.05660 0.72480 -0.87214  -0.463
H: -1.79403 1.15963 -0.10354  0.235
Cl: 1.50237 1.74534 4.44392  0.028

***

[2]
The following is a DFT calculation (ωB97M-V/def2-TZVPD) of a cluster of 23 separate species, C9H62NO23 in total.

Properties
- Maximum force: 3.2 eV Å⁻¹
- Total charge: -1
- DFT total energy: -2165.476287 Eh
- 2S+1: 1

Each line ends with the Mulliken charge.
Cartesian coordinates (Å):
O: 3.66108 3.79212 3.27704  -0.677
H: -3.21445 -2.17975 1.03471  0.412
H: -2.55939 -2.68315 -3.08075  0.461
O: -1.45837 3.03462 6.07253  -0.631
H: -0.66920 -0.84966 -5.26783  0.295
H: -6.22977 -3.01497 -2.45768  0.249
H: 0.50088 0.57677 2.88628  0.363
H: -2.42298 -2.97393 2.02965  0.345
H: 3.52876 0.39063 1.98861  0.211
H: 1.71821 4.02398 5.11117  0.236
H: 1.16152 -0.87556 -2.35014  0.063
H: 4.04823 -3.00387 -0.54643  0.335
O: -3.29428 -2.05428 -3.23910  -0.680
O: -3.62529 2.62100 -1.44361  -0.622
H: -1.50591 -1.70825 0.07371  -0.444
H: 2.64283 1.19879 -0.72492  -0.308
H: 3.14324 -1.95812 -1.05335  0.152
C: -1.27379 0.91929 1.09003  -1.906
H: 5.54840 -0.91872 -0.32780  0.364
O: -3.32276 -2.85070 1.68534  -0.688
H: -4.20504 3.99082 0.41841  0.358
H: -0.89931 -1.33062 -1.51074  -0.374
H: -3.96697 4.32660 1.96645  0.320
C: 2.27597 1.65246 0.19224  -1.660
H: 3.54049 -0.05956 -2.13920  0.014
H: 3.11137 2.04604 0.71539  0.578
C: -1.40757 -0.89830 -0.62857  -0.849
H: 3.64644 4.06811 2.33821  0.336
H: -1.35057 0.14046 1.80420  0.534
H: -2.40799 -0.61131 -0.85743  0.620
H: 0.34878 -1.91861 1.57957  0.219
H: -0.21904 -2.32824 -3.35102  0.278
H: 1.38803 -3.12921 4.90918  0.312
O: -4.44854 -0.09707 -0.20542  -0.576
O: -5.65852 -2.31351 -2.11134  -0.653
H: -5.12205 -0.79433 -0.32861  0.219
H: 1.11875 -2.79576 -0.79558  0.102
H: -1.91283 -1.71411 -5.35682  0.324
O: -1.62038 -0.79301 -5.44891  -0.679
H: -6.45397 1.96085 -3.28437  0.308
H: -2.56833 0.78321 -4.82892  0.322
H: -0.61861 2.30328 -1.07828  0.459
O: 4.29171 -2.94717 1.70971  -0.626
C: -0.47411 1.26708 -1.32983  -0.711
H: 1.50046 3.08865 3.88041  0.422
O: 1.05885 3.54326 4.63001  -0.696
H: -4.32745 3.16690 -1.90710  0.336
O: -3.11063 1.52014 -4.51431  -0.689
H: -1.63784 2.09002 6.11184  0.314
O: 5.82664 -0.98423 0.62116  -0.664
H: 5.22820 0.86389 1.32284  0.340
C: -0.42957 2.03945 1.71885  0.072
O: -0.75712 -3.14601 -3.20678  -0.707
H: 4.37173 -3.69623 2.28488  0.262
H: 1.54772 1.98971 2.63813  -1.386
H: -0.19925 2.79658 0.95008  0.282
O: 1.34207 -1.01486 -0.69688  1.058
H: 1.94079 -0.74302 -3.74881  0.213
C: 2.67619 -0.22059 1.64491  -0.404
H: 0.49335 -2.64694 3.94674  0.248
H: 0.80798 -3.36650 1.22388  0.258
H: 3.07574 -0.92473 0.88687  -1.018
H: -1.04396 2.54171 2.58660  0.286
H: -2.81964 -1.21695 -3.02737  0.259
H: -5.18961 2.13356 -4.12216  0.339
H: 2.34280 -0.78599 2.54305  0.534
O: 0.46638 -2.81421 1.98944  -0.728
H: -2.90499 1.80474 -3.62727  0.390
H: -4.90091 -2.12510 -2.76237  0.404
C: 1.57619 0.62114 1.00474  1.643
O: -5.88577 2.62156 -3.67751  -0.652
H: -4.57180 0.13684 0.71009  0.273
O: 5.18666 1.84334 1.52547  -0.587
H: 5.45917 -1.76492 1.00989  0.346
- - -

(Worked solution)
The following is a DFT calculation (ωB97M-V/def2-TZVPD) of an isolated molecule of C9H5Cl2N3O2.
The following is a DFT calculation (ωB97M-V/def2-TZVPD) of a cluster of 23 separate species, C9H62NO23 in total.